== Work order ==
The reader should transcribe the entries underneath from the line with "B22 0.1216" to the end with every line break kept.

== Contents ==
-- begin --
Entry 1:
# meta-GGA r2SCAN K4B9Se9, optimized geometry
data_K4B9Se9
_space_group_name_H-M_alt 'P 1'
_space_group_IT_number 1
_cell_length_a 9.9251
_cell_length_b 16.0992
_cell_length_c 22.4799
_cell_angle_alpha 107.34
_cell_angle_beta 97.11
_cell_angle_gamma 105.76
loop_
_space_group_symop_operation_xyz
'x,y,z'
loop_
_atom_site_label
_atom_site_fract_x
_atom_site_fract_y
_atom_site_fract_z
B1 0.1433 0.7747 0.3316
B2 0.8773 0.9060 0.0002
B3 0.2538 0.7687 0.3984
B4 0.1850 0.5270 0.8361
B5 0.6929 0.3296 0.6221
B6 0.1264 0.9841 0.9572
B7 0.3307 0.1804 0.1666
B8 0.1195 0.8701 0.4951
B9 0.9891 0.4395 0.6715
B10 0.0984 0.2747 0.9994
B11 0.8561 0.3707 0.6013
B12 0.0495 0.5913 0.3341
B13 0.1695 0.0272 0.0429
B14 0.1642 0.0143 0.8338
B15 0.9401 0.0896 0.0000
B16 0.9454 0.9092 0.9319
B17 0.6331 0.3368 0.8226
B18 0.1997 0.6544 0.3980
B19 0.4594 0.6806 0.4926
B20 0.6694 0.8183 0.8335
B21 0.9952 0.6210 0.6631
B22 0.1216 0.0956 0.0000
B23 0.6245 0.3749 0.5045
B24 0.3490 0.6904 0.1639
B25 0.7126 0.0813 0.6830
B26 0.8122 0.4435 0.6679
B27 0.8366 0.9851 0.1666
B28 0.0141 0.9779 0.0684
B29 0.9837 0.3255 0.6327
B30 0.8100 0.5131 0.1770
B31 0.1059 0.5884 0.2609
B32 0.7223 0.3729 0.7075
B33 0.8025 0.2569 0.6018
B34 0.1691 0.7021 0.2611
B35 0.3166 0.7672 0.3282
B36 0.3499 0.6919 0.3670
B37 0.0279 0.3974 0.3168
B38 0.2193 0.5807 0.3248
B39 0.7163 0.2577 0.6657
B40 0.0573 0.9103 0.0002
B41 0.8296 0.9732 0.9571
B42 0.9087 0.4417 0.7386
B43 0.3309 0.9571 0.3365
B44 0.9852 0.0226 0.9316
B45 0.0138 0.6645 0.2921
B46 0.0697 0.7068 0.3775
B47 0.0539 0.0914 0.0684
B48 0.8728 0.0165 0.0431
B49 0.8457 0.3282 0.7389
B50 0.9667 0.1884 0.5070
B51 0.8955 0.2567 0.6751
B52 0.8884 0.7231 0.0003
B53 0.2948 0.6509 0.2818
B54 0.0138 0.3699 0.7180
Se1 0.4228 0.6312 0.2205
Se2 0.8117 0.6283 0.2430
Se3 0.6363 0.9240 0.8965
Se4 0.8605 0.8026 0.8501
Se5 0.2479 0.6308 0.4796
Se6 0.6393 0.4299 0.1157
Se7 0.9513 0.2704 0.3027
Se8 0.3958 0.0815 0.3416
Se9 0.3631 0.0756 0.1025
Se10 0.3154 0.8762 0.4806
Se11 0.9870 0.0436 0.8487
Se12 0.5195 0.3190 0.5606
Se13 0.9112 0.4790 0.3392
Se14 0.2478 0.2162 0.0000
Se15 0.7474 0.7879 0.0005
Se16 0.1181 0.2871 0.5792
Se17 0.5693 0.3861 0.7565
Se18 0.2345 0.0219 0.7602
Se19 0.6499 0.9683 0.6970
Se20 0.2029 0.4114 0.7794
Se21 0.5733 0.1404 0.6608
Se22 0.5255 0.4084 0.4425
Se23 0.3455 0.6146 0.9020
Se24 0.9171 0.1413 0.6852
Se25 0.9920 0.4851 0.1798
Se26 0.5380 0.7070 0.4204
Se27 0.2302 0.4552 0.3148
Se28 0.9006 0.2050 0.9995
Se29 0.0554 0.7404 0.6581
Se30 0.7402 0.0278 0.1037
Se31 0.1473 0.3980 0.9987
Se32 0.9580 0.7584 0.4389
Se33 0.5851 0.7073 0.5721
Se34 0.1789 0.7277 0.1793
Se35 0.0118 0.9538 0.1504
Se36 0.9998 0.5490 0.8204
Se37 0.4607 0.8827 0.3308
Se38 0.4444 0.7128 0.0984
Se39 0.1265 0.8956 0.3321
Se40 0.8351 0.3960 0.5190
Se41 0.7686 0.1517 0.5203
Se42 0.1308 0.5525 0.6691
Se43 0.0881 0.7920 0.0004
Se44 0.2599 0.9725 0.8974
Se45 0.5233 0.3151 0.8839
Se46 0.1390 0.1955 0.1514
Se47 0.8124 0.3061 0.8200
Se48 0.7950 0.5638 0.6670
Se49 0.4739 0.2605 0.2408
Se50 0.0833 0.9657 0.5573
Se51 0.0120 0.1354 0.4274
Se52 0.8216 0.6004 0.0003
Se53 0.7649 0.9748 0.2394
Se54 0.5250 0.7358 0.7604
K1 0.4149 0.9406 0.1954
K2 0.3031 0.3978 0.1445
K3 0.1600 0.2516 0.8538
K4 0.1364 0.1358 0.2843
K5 0.7950 0.7551 0.1484
K6 0.8519 0.8508 0.7160
K7 0.5791 0.4844 0.3188
K8 0.3036 0.0868 0.4810
K9 0.8230 0.6061 0.5187
K10 0.5799 0.1000 0.8301
K11 0.1742 0.3688 0.4476
K12 0.1374 0.5961 0.0008
K13 0.7201 0.2061 0.3805
K14 0.4833 0.5068 0.9999
K15 0.8226 0.9139 0.3689
K16 0.7269 0.9200 0.5523
K17 0.8111 0.3907 0.9993
K18 0.3411 0.8251 0.6194
K19 0.6452 0.6063 0.8523
K20 0.7483 0.2689 0.1696
K21 0.2603 0.1651 0.6799
K22 0.2199 0.7454 0.8043
K23 0.4535 0.5444 0.6311
K24 0.4476 0.8385 0.9999
# **Mass density**: 2.99 g/cm³
# **DFT total energy**: -1403.5 eV for the cell shown
# **Crystal system**: triclinic



Entry 2:
# meta-GGA r2SCAN Pr4MgRh, optimized geometry
data_Pr4MgRh
_space_group_name_H-M_alt 'P 1'
_space_group_IT_number 1
_cell_length_a 10.0763
-- stop --

== Here it is ==
B22 0.1216 0.0956 0.0000
B23 0.6245 0.3749 0.5045
B24 0.3490 0.6904 0.1639
B25 0.7126 0.0813 0.6830
B26 0.8122 0.4435 0.6679
B27 0.8366 0.9851 0.1666
B28 0.0141 0.9779 0.0684
B29 0.9837 0.3255 0.6327
B30 0.8100 0.5131 0.1770
B31 0.1059 0.5884 0.2609
B32 0.7223 0.3729 0.7075
B33 0.8025 0.2569 0.6018
B34 0.1691 0.7021 0.2611
B35 0.3166 0.7672 0.3282
B36 0.3499 0.6919 0.3670
B37 0.0279 0.3974 0.3168
B38 0.2193 0.5807 0.3248
B39 0.7163 0.2577 0.6657
B40 0.0573 0.9103 0.0002
B41 0.8296 0.9732 0.9571
B42 0.9087 0.4417 0.7386
B43 0.3309 0.9571 0.3365
B44 0.9852 0.0226 0.9316
B45 0.0138 0.6645 0.2921
B46 0.0697 0.7068 0.3775
B47 0.0539 0.0914 0.0684
B48 0.8728 0.0165 0.0431
B49 0.8457 0.3282 0.7389
B50 0.9667 0.1884 0.5070
B51 0.8955 0.2567 0.6751
B52 0.8884 0.7231 0.0003
B53 0.2948 0.6509 0.2818
B54 0.0138 0.3699 0.7180
Se1 0.4228 0.6312 0.2205
Se2 0.8117 0.6283 0.2430
Se3 0.6363 0.9240 0.8965
Se4 0.8605 0.8026 0.8501
Se5 0.2479 0.6308 0.4796
Se6 0.6393 0.4299 0.1157
Se7 0.9513 0.2704 0.3027
Se8 0.3958 0.0815 0.3416
Se9 0.3631 0.0756 0.1025
Se10 0.3154 0.8762 0.4806
Se11 0.9870 0.0436 0.8487
Se12 0.5195 0.3190 0.5606
Se13 0.9112 0.4790 0.3392
Se14 0.2478 0.2162 0.0000
Se15 0.7474 0.7879 0.0005
Se16 0.1181 0.2871 0.5792
Se17 0.5693 0.3861 0.7565
Se18 0.2345 0.0219 0.7602
Se19 0.6499 0.9683 0.6970
Se20 0.2029 0.4114 0.7794
Se21 0.5733 0.1404 0.6608
Se22 0.5255 0.4084 0.4425
Se23 0.3455 0.6146 0.9020
Se24 0.9171 0.1413 0.6852
Se25 0.9920 0.4851 0.1798
Se26 0.5380 0.7070 0.4204
Se27 0.2302 0.4552 0.3148
Se28 0.9006 0.2050 0.9995
Se29 0.0554 0.7404 0.6581
Se30 0.7402 0.0278 0.1037
Se31 0.1473 0.3980 0.9987
Se32 0.9580 0.7584 0.4389
Se33 0.5851 0.7073 0.5721
Se34 0.1789 0.7277 0.1793
Se35 0.0118 0.9538 0.1504
Se36 0.9998 0.5490 0.8204
Se37 0.4607 0.8827 0.3308
Se38 0.4444 0.7128 0.0984
Se39 0.1265 0.8956 0.3321
Se40 0.8351 0.3960 0.5190
Se41 0.7686 0.1517 0.5203
Se42 0.1308 0.5525 0.6691
Se43 0.0881 0.7920 0.0004
Se44 0.2599 0.9725 0.8974
Se45 0.5233 0.3151 0.8839
Se46 0.1390 0.1955 0.1514
Se47 0.8124 0.3061 0.8200
Se48 0.7950 0.5638 0.6670
Se49 0.4739 0.2605 0.2408
Se50 0.0833 0.9657 0.5573
Se51 0.0120 0.1354 0.4274
Se52 0.8216 0.6004 0.0003
Se53 0.7649 0.9748 0.2394
Se54 0.5250 0.7358 0.7604
K1 0.4149 0.9406 0.1954
K2 0.3031 0.3978 0.1445
K3 0.1600 0.2516 0.8538
K4 0.1364 0.1358 0.2843
K5 0.7950 0.7551 0.1484
K6 0.8519 0.8508 0.7160
K7 0.5791 0.4844 0.3188
K8 0.3036 0.0868 0.4810
K9 0.8230 0.6061 0.5187
K10 0.5799 0.1000 0.8301
K11 0.1742 0.3688 0.4476
K12 0.1374 0.5961 0.0008
K13 0.7201 0.2061 0.3805
K14 0.4833 0.5068 0.9999
K15 0.8226 0.9139 0.3689
K16 0.7269 0.9200 0.5523
K17 0.8111 0.3907 0.9993
K18 0.3411 0.8251 0.6194
K19 0.6452 0.6063 0.8523
K20 0.7483 0.2689 0.1696
K21 0.2603 0.1651 0.6799
K22 0.2199 0.7454 0.8043
K23 0.4535 0.5444 0.6311
K24 0.4476 0.8385 0.9999
# **Mass density**: 2.99 g/cm³
# **DFT total energy**: -1403.5 eV for the cell shown
# **Crystal system**: triclinic



Entry 2:
# meta-GGA r2SCAN Pr4MgRh, optimized geometry
data_Pr4MgRh
_space_group_name_H-M_alt 'P 1'
_space_group_IT_number 1
_cell_length_a 10.0763